The reader should work out how many lines below have the word "Pb" in them; a number is enough.

<<<
(1)
Material: CeCd3
Method: DFT, GGA-PBE
State: optimized geometry

Cell and atoms, written as POSCAR:
```
CeCd3
1.0
0.0000 3.6631 3.6631
3.6631 0.0000 3.6631
3.6631 3.6631 0.0000
Ce Cd
1 3
Cartesian
0.0000 0.0000 0.0000 Ce
1.8315 1.8315 1.8315 Cd
3.6631 3.6631 3.6631 Cd
5.4946 5.4946 5.4946 Cd
```

Properties
Formation enthalpy at 0 K: -0.2219 eV per atom
Final energy: -2.397 eV/atom

---

(2)
Material: HfMn
Method: DFT, GGA-PBE
State: optimized geometry

Cell and atoms, written as POSCAR:
```
HfMn
1.0
0.0000 5.8137 5.8137
5.8137 0.0000 5.8137
5.8137 5.8137 0.0000
Hf Mn
12 12
Cartesian
4.3603 4.3603 0.8458 Hf
4.3603 0.8458 4.3603 Hf
7.8748 4.3603 4.3603 Hf
7.2672 7.2672 3.7527 Hf
7.2672 3.7527 7.2672 Hf
10.7817 7.2672 7.2672 Hf
0.8458 4.3603 4.3603 Hf
4.3603 7.8748 4.3603 Hf
4.3603 4.3603 7.8748 Hf
3.7527 7.2672 7.2672 Hf
7.2672 10.7817 7.2672 Hf
7.2672 7.2672 10.7817 Hf
5.8137 2.9069 2.9069 Mn
3.4625 3.4625 3.4625 Mn
5.2581 5.2581 3.4625 Mn
5.2581 3.4625 5.2581 Mn
8.1650 6.3694 6.3694 Mn
2.9069 5.8137 2.9069 Mn
2.9069 2.9069 5.8137 Mn
5.8137 5.8137 5.8137 Mn
3.4625 5.2581 5.2581 Mn
6.3694 8.1650 6.3694 Mn
6.3694 6.3694 8.1650 Mn
8.1650 8.1650 8.1650 Mn
```

Properties
Formation enthalpy at 0 K: -0.1880 eV per atom
Final energy: -9.748 eV/atom

---

(3)
Material: CaGa3Pt
Method: DFT, GGA-PBE
State: optimized geometry

Cell and atoms, written as POSCAR:
```
CaGa3Pt
1.0
-2.1170 2.1170 5.5626
2.1170 -2.1170 5.5626
2.1170 2.1170 -5.5626
Ca Ga Pt
1 3 1
Cartesian
0.0000 0.0000 0.0000 Ca
2.1170 0.0000 2.8314 Ga
0.0000 0.0000 6.7484 Ga
0.0000 2.1170 2.8314 Ga
0.0000 0.0000 4.2571 Pt
```

Properties
Formation enthalpy at 0 K: -0.6547 eV per atom
Final energy: -4.087 eV/atom

---

(4)
Material: KRb2YF6
Method: DFT, GGA-PBE
State: optimized geometry

Cell and atoms, written as POSCAR:
```
KRb2YF6
1.0
6.5814 0.0000 0.0000
0.0000 6.7506 0.0000
-6.5380 0.0000 9.3672
K Rb Y F
2 4 2 12
Cartesian
0.0000 0.0000 0.0000 K
-3.2690 3.3753 4.6836 K
-3.3293 0.2955 7.0079 Rb
-0.0603 3.0798 2.3243 Rb
0.1037 3.6709 7.0428 Rb
3.3727 6.4551 2.3592 Rb
0.0217 0.0000 4.6836 Y
3.2907 3.3753 0.0000 Y
-1.7634 1.2276 4.2984 F
-5.0324 2.1477 8.9820 F
-1.1441 4.9475 4.1793 F
-4.4131 5.1785 8.8629 F
0.6018 0.2620 2.5766 F
-2.6672 3.1133 7.2602 F
2.7106 3.6373 2.1070 F
-0.5584 6.4886 6.7906 F
4.4565 1.5721 0.5042 F
1.1875 1.8032 5.1878 F
5.0758 4.6030 0.3851 F
1.8068 5.5230 5.0687 F
```

Properties
Formation enthalpy at 0 K: -3.5858 eV per atom
Final energy: -5.411 eV/atom

---

(5)
Material: MgFe4P4S4
Method: DFT, GGA-PBE
State: optimized geometry

Cell and atoms, written as POSCAR:
```
MgFe4P4S4
1.0
5.5609 0.0000 0.0000
-0.0370 5.8270 0.0000
-0.0387 -1.8890 5.5673
Mg Fe P S
1 4 4 4
Cartesian
0.0000 0.0000 0.0000 Mg
2.6503 1.0372 1.5294 Fe
2.7038 2.8498 3.9740 Fe
5.4232 3.8847 1.3561 Fe
5.4937 0.0121 4.1609 Fe
0.7934 0.0290 2.2280 P
2.1012 -0.8067 4.7352 P
3.2875 4.7100 0.7555 P
4.6075 3.8104 3.3280 P
0.6768 2.0210 4.5495 S
1.9057 3.1690 1.8317 S
3.4591 0.7261 3.6657 S
4.6529 1.8960 0.9236 S
```

Properties
Offset from the most stable computed form: 32.0 meV per atom
Formation enthalpy at 0 K: -0.4678 eV per atom
Final energy: -5.981 eV/atom

---

(6)
Material: ZrNbAl6
Method: DFT, GGA-PBE
State: optimized geometry

Cell and atoms, written as POSCAR:
```
ZrNbAl6
1.0
3.9006 0.0000 0.0000
0.0000 3.9006 0.0000
0.0000 0.0000 8.8781
Zr Nb Al
1 1 6
Cartesian
0.0000 0.0000 0.0000 Zr
1.9503 1.9503 4.4391 Nb
0.0000 0.0000 4.4391 Al
0.0000 1.9503 2.2739 Al
0.0000 1.9503 6.6042 Al
1.9503 0.0000 2.2739 Al
1.9503 0.0000 6.6042 Al
1.9503 1.9503 0.0000 Al
```

Properties
Formation enthalpy at 0 K: -0.4386 eV per atom
Final energy: -5.579 eV/atom

---

(7)
Material: ZrPb
Method: DFT, GGA-PBE
State: optimized geometry

Cell and atoms, written as POSCAR:
```
ZrPb
1.0
4.0464 0.0000 0.0000
0.0000 8.7698 0.0000
-3.5970 0.0000 5.9346
Zr Pb
4 4
Cartesian
-0.8852 1.1191 1.6071 Zr
-2.6837 3.2658 4.5743 Zr
3.1331 5.5040 1.3602 Zr
1.3346 7.6507 4.3275 Zr
-0.6736 5.4534 4.3406 Pb
>>>

2